There are many brands of natural food colors you can find, but before choosing one that suits you and your household, check out this handy guide. You’ll find all the natural food colors you’ll ever need, along with an explanation of the exact process and possible health risks. Natural Food Colors Can Be Challenging to Use.
Some natural food colors are natural in the sense that they’re made of ingredients you would typically use yourself (and thus are most likely naturally derived or produced on your own property). However, natural food colors are not necessarily natural in their development. There is always the possibility that chemicals were used to create these natural ingredients. The synthetic processes used to create food colors are more hazardous in terms of potential risks to your health and can potentially make the colors look unnatural.
Always check the labels of food products. If the ingredients are a synthetic mix, then the chances of a potentially harmful ingredient in your food are increased. If you are unsure of what ingredients you’re eating, you can always call the manufacturer to find out the natural food colors used in the ingredients. All-natural foods can sometimes have issues with color.
What is the best method for changing the color of foods?
Someone pasted crystal structures at this point:
~~~
# 1
A plane-wave DFT calculation with GGA+U was carried out for a geometry-optimized Li7Mn2Co3O12 structure.

Values from the calculation:
**Symmetry**: P1, No. 1
**Formation enthalpy at 0 K**: -182.04 kJ per mole of atoms
**E**: -5.8822 eV per atom

Lattice parameters (Å, degrees): 5.8853 5.8957 7.6777 100.56 100.69 119.71
Sites, in units of the cell vectors:
1 O 0.0774 0.2201 0.8287
2 O 0.7740 0.7645 0.5061
3 O 0.7525 0.2229 0.5016
4 O 0.2338 0.2257 0.5107
5 O 0.0865 0.7780 0.8403
6 O 0.4314 0.7700 0.1594
7 O 0.2493 0.7643 0.5177
8 O 0.6176 0.7867 0.8386
9 O 0.3909 0.2335 0.1522
10 O 0.5503 0.2175 0.8232
11 O 0.9158 0.7784 0.1600
12 O 0.9191 0.2373 0.1563
13 Li 0.3334 0.5014 0.3313
14 Li 0.3304 0.0009 0.3331
15 Li 0.1651 0.4933 0.6644
16 Li 0.8324 0.4984 0.3345
17 Li 0.0127 0.5157 0.0108
18 Li 0.5039 0.5047 0.0020
19 Li 0.6554 0.4866 0.6581
20 Mn 0.0069 0.0071 0.0021
21 Mn 0.1659 0.9954 0.6631
22 Co 0.8387 0.0006 0.3343
23 Co 0.5003 0.9998 0.0135
24 Co 0.6560 0.9970 0.6578


# 2
A plane-wave DFT calculation with GGA+U was carried out for a geometry-optimized Li5Mn2CoO8 structure.

Values from the calculation:
**Symmetry**: P-1, No. 2
**Formation enthalpy at 0 K**: -185.23 kJ per mole of atoms
**E**: -5.9254 eV per atom

Lattice parameters (Å, degrees): 3.0056 5.0453 9.8134 77.66 87.66 87.60
Sites, in units of the cell vectors:
1 O 0.5144 0.3866 0.3906
2 O 0.9729 0.3677 0.8863
3 O 0.9931 0.8304 0.3883
4 O 0.5339 0.1340 0.1189
5 O 0.0069 0.1696 0.6117
6 O 0.0271 0.6323 0.1137
7 O 0.4661 0.8660 0.8811
8 O 0.4856 0.6134 0.6094
9 Mn 0.0000 0.0000 0.0000
10 Mn 0.5000 0.5000 0.0000
11 Li 0.5000 0.0000 0.5000
12 Li 0.0033 0.7641 0.7338
13 Li 0.5063 0.7473 0.2653
14 Li 0.4937 0.2527 0.7347
15 Li 0.9967 0.2359 0.2662
16 Co 0.0000 0.5000 0.5000


# 3
A plane-wave DFT calculation with GGA+U was carried out for a geometry-optimized Li7Mn2Co3O12 structure.

Values from the calculation:
**Symmetry**: P-1, No. 2
**Formation enthalpy at 0 K**: -178.14 kJ per mole of atoms
**E**: -5.8418 eV per atom

Lattice parameters (Å, degrees): 4.9732 5.0176 9.7872 100.69 87.76 116.99
Sites, in units of the cell vectors:
1 O 0.5126 0.1475 0.8820
2 O 0.4668 0.3747 0.6154
3 O 0.1592 0.9762 0.3836
4 O 0.4874 0.8525 0.1180
5 O 0.8408 0.0238 0.6164
6 O 0.1832 0.4800 0.8849
7 O 0.8168 0.5200 0.1151
8 O 0.1826 0.2142 0.1052
9 O 0.8174 0.7858 0.8948
10 O 0.5332 0.6253 0.3846
11 O 0.8773 0.3226 0.3873
12 O 0.1227 0.6774 0.6127
13 Li 0.5000 0.0000 0.5000
14 Li 0.8230 0.4085 0.7413
15 Li 0.5026 0.7536 0.7435
16 Li 0.1782 0.0919 0.7434
17 Li 0.8218 0.9081 0.2566
18 Li 0.1770 0.5915 0.2587
19 Li 0.4974 0.2464 0.2565
20 Co 0.8365 0.6788 0.4965
21 Co 0.5000 0.5000 0.0000
22 Co 0.1635 0.3212 0.5035
23 Mn 0.1695 0.8304 0.0005
24 Mn 0.8305 0.1696 0.9995


# 4
A plane-wave DFT calculation with GGA+U was carried out for a geometry-optimized Li6Mn5CoO12 structure.

Values from the calculation:
**Symmetry**: P-1, No. 2
**Formation enthalpy at 0 K**: -196.55 kJ per mole of atoms
~~~
Back to the entry:
Watercolor paints are fantastic. Color pencils are great. But that’s all you get, only natural colors. That’s what everyone wants. They don’t want chemically colored vegetables. They want beautiful colored vegetables. This is why I love fluorescent food coloring. It makes vegetables look like food. Why do we put food coloring in apples, too? We do because it’s fun.
It’s what the kids want to do, but it’s not natural. Fluorescent colors are natural colors, and they look great in your organic garden. I’ve used a lot of them. One color I like for spinach, for instance, is fluorescent green. I get a big bag of spinach. Put it in water for two or three minutes. It comes out bright green. This is natural food coloring. Another one is neon purple for berries.
Data records from another source follow =
/*
1.
This record from the Materials Project database describes a geometry-optimized FeH36C12S6Br3O6 structure. The functional is PBE+U.

Geometry as extended XYZ:
```
64
Lattice="-9.596 2.900 0.414 -6.328 -7.226 2.898 -3.519 1.152 9.324" Properties=species:S:1:pos:R:3 pbc="T T T"
C -8.040 1.424 4.041
H -10.873 0.178 10.495
Br -9.722 -1.587 6.318
H -12.785 -0.702 3.190
H -6.856 -3.255 2.771
C -10.668 1.791 4.647
Br -14.687 -2.398 9.545
H -7.743 -5.092 8.356
O -11.521 2.788 9.756
H -11.405 -3.730 7.922
H -12.026 -2.211 2.491
O -9.808 -5.967 10.192
H -8.570 -3.352 2.142
C -9.916 -4.805 4.148
Br -4.756 -0.777 3.091
H -11.700 1.918 4.281
S -8.144 -4.848 3.945
H -12.877 -1.402 6.242
H -10.383 -4.678 3.161
H -12.164 -4.461 9.376
S -6.028 -0.490 8.295
C -9.527 1.630 8.489
H -10.599 0.902 5.296
H -9.226 2.570 7.999
H -8.844 -4.077 7.340
O -7.922 -5.962 2.881
H -8.194 -2.505 3.707
H -10.127 -3.945 4.805
Fe 0.000 0.000 0.000
H -14.165 -0.609 5.232
H -10.217 -5.744 4.638
S -9.809 -4.625 9.404
O -9.635 2.793 2.445
C -11.403 -4.598 8.596
C -5.640 -1.623 6.968
C -12.293 -1.661 3.406
C -7.921 -3.328 3.031
H -9.316 0.770 7.831
H -6.566 -1.773 6.395
H -5.278 -2.566 7.404
H -9.154 -5.863 7.482
H -4.887 -1.138 6.333
H -11.249 -0.669 8.930
S -9.635 1.451 3.233
H -8.039 -1.654 8.593
S -13.415 -2.685 4.342
C -8.775 -4.965 7.990
S -11.299 1.673 8.692
H -14.556 -2.036 6.304
H -11.533 -5.540 8.042
H -7.910 2.366 4.594
H -11.404 -1.521 4.043
C -13.803 -1.552 5.669
O -4.736 -0.470 9.163
C -7.150 -1.514 9.231
H -7.418 -0.963 10.146
H -6.658 -2.473 9.446
H -8.038 0.556 4.715
H -7.280 1.287 3.261
H -10.289 2.688 5.155
O -14.707 -2.704 3.474
H -12.587 0.080 9.866
H -9.060 1.503 9.476
C -11.522 0.153 9.606
```

Calculated values
Crystal system = trigonal
SG = No. 148

2.
This record from the Materials Project database describes a geometry-optimized Na6Ni2PC4O16 structure. The functional is PBE+U.

Geometry as extended XYZ:
```
58
Lattice="-6.598 4.590 5.625 -1.577 9.615 -1.142 -8.426 3.159 -3.907" Properties=species:S:1:pos:R:3 pbc="T T T"
C -10.903 12.866 -3.035
O -13.333 9.128 0.343
C -9.747 13.771 2.995
C -14.079 9.687 1.245
O -13.085 13.088 1.850
Na -15.311 12.626 1.040
O -7.430 4.635 3.183
C -15.077 15.769 0.523
Ni -2.075 2.171 0.072
C -11.006 7.934 -2.274
Na -11.160 8.285 0.896
O -7.195 8.988 1.336
O -5.596 5.999 1.491
O -4.930 6.704 -0.536
Na -9.025 10.422 -1.982
Ni -2.864 6.978 -0.499
O -9.698 12.506 3.280
O -11.745 7.455 -1.322
O -3.984 9.954 -2.007
Na -12.398 15.372 2.216
O -6.802 7.033 4.822
P -8.301 8.682 0.288
O -11.786 14.388 0.100
Na -8.354 6.333 -1.496
O -11.005 9.056 3.205
O -8.967 7.318 0.621
O -9.375 9.805 0.325
C -5.676 5.936 0.197
O -11.378 11.900 0.395
O -9.068 9.837 4.035
O -5.524 11.513 -0.195
O -7.050 5.209 -3.160
O -12.629 6.937 2.224
O -7.668 8.618 -1.130
O -7.419 12.577 0.377
Na -13.176 14.763 -1.838
O -9.727 4.466 -2.103
C -6.673 12.018 -0.525
O -6.546 5.153 -0.362
O -3.258 8.709 0.593
Na -12.505 10.674 -1.352
O -7.104 11.907 -1.744
*/
How should we remember what colors vegetables are?
People think white carrots are white carrots. They are red, and they’re very good for you. Just look at the colors you can get, with greens that are green and red. This is because of the green food coloring. With tomatoes, some people are all excited about the green tomato. But tomatoes are a blue color naturally.
VASP calculation (PBE) on a relaxed structure of Na3SbF6.

Summary:
spin magnetization: 0.001 μB/f.u.
formation energy from the elements: -2639 meV/atom

a b c (Å): 6.588 6.768 8.016
angles (deg): 67.77 87.10 68.86
Space group P-1 (No. 2)
Symmetry-distinct sites (fractional):
Na 0.000 0.000 0.000 [1 per cell]
Na 0.000 0.500 0.000 [1 per cell]
Na 0.500 0.000 0.500 [1 per cell]
Sb 0.500 0.000 0.000 [1 per cell]
F 0.165 0.255 0.877 [2 per cell]
F 0.336 0.756 0.061 [2 per cell]
F 0.369 0.080 0.238 [2 per cell]


# Ba4Sm4Zn3PtO15 (PBE-GGA, relaxed)
data_Ba4Sm4Zn3PtO15
_chemical_formula_sum 'Ba8 Sm8 Zn6 Pt2 O30'
_symmetry_space_group_name_H-M 'P 1'
_symmetry_Int_Tables_number 1
_cell_length_a 11.821
_cell_length_b 11.821
_cell_length_c 6.800
_cell_angle_alpha 90.00
_cell_angle_beta 90.00
_cell_angle_gamma 120.00
loop_
_symmetry_equiv_pos_as_xyz
'x,y,z'
loop_
_atom_site_label
_atom_site_type_symbol
_atom_site_fract_x
_atom_site_fract_y
_atom_site_fract_z
Ba1 Ba 0.173 0.345 0.000
Ba2 Ba 0.173 0.827 0.000
Ba3 Ba 0.333 0.667 0.679
Ba4 Ba 0.345 0.173 0.500
Ba5 Ba 0.655 0.827 0.000
Ba6 Ba 0.667 0.333 0.179
Ba7 Ba 0.827 0.173 0.500
Ba8 Ba 0.827 0.655 0.500
Sm1 Sm 0.000 0.000 0.184
Sm2 Sm 0.000 0.000 0.684
Sm3 Sm 0.045 0.523 0.341
Sm4 Sm 0.477 0.523 0.341
Sm5 Sm 0.477 0.955 0.341
Sm6 Sm 0.523 0.045 0.841
Sm7 Sm 0.523 0.477 0.841
Sm8 Sm 0.955 0.477 0.841
Zn1 Zn 0.171 0.343 0.517
Zn2 Zn 0.171 0.829 0.517
Zn3 Zn 0.343 0.171 0.017
Zn4 Zn 0.657 0.829 0.517
Zn5 Zn 0.829 0.171 0.017
Zn6 Zn 0.829 0.657 0.017
Pt1 Pt 0.333 0.667 0.157
Pt2 Pt 0.667 0.333 0.657
O1 O 0.056 0.396 0.642
O2 O 0.056 0.661 0.642
O3 O 0.083 0.165 0.413
O4 O 0.083 0.917 0.413
O5 O 0.165 0.083 0.913
O6 O 0.165 0.582 0.998
O7 O 0.251 0.502 0.331
O8 O 0.251 0.749 0.331
O9 O 0.339 0.396 0.642
O10 O 0.339 0.944 0.642
O11 O 0.396 0.056 0.142
O12 O 0.396 0.339 0.142
O13 O 0.418 0.582 0.998
O14 O 0.418 0.835 0.998
O15 O 0.498 0.749 0.331
O16 O 0.502 0.251 0.831
O17 O 0.582 0.165 0.498
O18 O 0.582 0.418 0.498
O19 O 0.604 0.661 0.642
O20 O 0.604 0.944 0.642
O21 O 0.661 0.056 0.142
O22 O 0.661 0.604 0.142
O23 O 0.749 0.251 0.831
O24 O 0.749 0.498 0.831
O25 O 0.835 0.418 0.498
O26 O 0.835 0.917 0.413
O27 O 0.917 0.083 0.913
O28 O 0.917 0.835 0.913
O29 O 0.944 0.339 0.142
O30 O 0.944 0.604 0.142
# Uncorrected energy ... -6.55 eV/atom
# Crystal system ... hexagonal
# Space-group type ... P6_3mc, No. 186
If you put tomatoes in natural sunlight, they turn blue. All vegetables are made of chlorophyll, the plant’s main color. Your spinach looks blue because of chlorophyll, just like my tomatoes are blue because of chlorophyll. Another thing is that the blues are different because they have different wavelengths of light. Blue flowers have different wavelengths. Blue vegetables and fruit are different colors because of chlorophyll.
Are you using some of the fluorescent colors now in your garden?
I use green fluorescent soybeans. They come in bulk. They go through the factory just like they go through a regular seed factory. They’re stored under temperature-controlled conditions, so they don’t get hot, but they’re also stored under natural sunlight so they stay green.
Why are the colors of food so important?
I want to make things pretty. I want my customers to think my vegetables are beautiful. If I put colored carrots, orange carrots, green carrots, red carrots, and purple carrots, then they look like they’re made in a factory. They’re not really. They’re in your garden. This is what plants do naturally. This is what nature wants you to grow. If you grow tomatoes and they’re orange, then I want the orange color on my carrots. I want you to remember that it’s not a factory that makes these vegetables. It’s not a special chemical that we put in. This is nature.
I want people to remember food is natural, and it’s supposed to be natural. Don’t let people take your vegetables out of your garden and put them in a bag or throw them away, or take them to look like food. Make them look beautiful, and keep them healthy, and they’ll be healthy food, not food to be thrown away.
I’m really trying to do it in my garden with natural colors because I want to feed my family natural food colors that are healthy and beautiful.